This latest shoot was for the Northern California PET/CT Center, a non-profit high end medical imaging facility. This is a great facility that saves many lives every day through highly accurate imaging. I wanted to give the spot a very hightech glossy look, but also to keep a warm approachable feel to it. We shot it in 720p with the HVX200. I originally wanted to go for a glossy, colorful, C.S.I. Miami look with shallow focus and blurred foreground images. I wanted to use a 35mm lens adapter, but that was unavailable at the time, so a lot of the look had to be done in post.
You can see a copy of it online here:
Here are some before and after shots from the location scout and final screen grabs:

This is the doctor's office. We used the Century .6 wide angle lens adapter and a dolly in. For lighting, we turned off the overhead fluo, and dimmed down the overhead tungsten can lights. We also filled up the light panel with x-rays, strategically placing light and dark sheets to control the light. We also bounced into the upper corner just out of frame on camera left, a 500watt fresnell spot in with half CTO, to help provide a little bit of color contrast against the bluish xray prints. You can see it wrapping around the "doctor " above. Also notice the heavy prismatic bluring off on the sides, meant to emulate a defocused lens. There is also an ND grad placed sideways to darken the wall to the right. In the closeup shot on the spot we used a piece of beveled-edge glass (I picked up from a stained glass shop) to make some nice in front of the lens optical effects.

This next scene is from the waiting area. I wanted it to have a very cold, uncertain feel. We used the exesting overhead Fluo, but draped a duva teaser on the end to keep spill off the wall, in order to make a nice soft overhead source shining down. We also used a 2' 4-bank kino with CTB to light from down the hall. There is also a de-focused region and a dark vignette applied in post.

## Crystal structures, kept here for reference
No. 1
! CsK2, relaxed, DFT r2SCAN; values from VASP
! DFT total energy in eV per atom: -12.372
! Spin magnetization in μB per atom: 0.06
! ΔH_f (0 K) in eV per atom: 0.010
&SYSTEM
  ibrav = 0, nat = 12, ntyp = 2
/
ATOMIC_SPECIES
K 39.10 K.upf
Cs 132.91 Cs.upf
ATOMIC_POSITIONS angstrom
K 1.296 -5.931 10.224
K 5.106 -8.218 9.429
K 0.000 0.000 0.000
K 0.046 -2.468 7.322
K -5.404 -5.346 2.308
K 1.104 -10.205 8.784
K -1.594 -7.634 1.513
K -1.401 -3.360 2.953
Cs -2.737 -8.846 12.343
Cs -2.771 -6.984 6.818
Cs 2.439 -4.718 -0.605
Cs 2.474 -6.581 4.920
CELL_PARAMETERS angstrom
-8.079 -4.010 -1.302
7.690 -4.618 -1.605
0.091 -4.937 14.644

No. 2
! CsLaS2, relaxed, DFT r2SCAN; values from VASP
! DFT total energy in eV per atom: -19.890
! Spin magnetization in μB per atom: 0.00
! ΔH_f (0 K) in eV per atom: -2.159
&SYSTEM
  ibrav = 0, nat = 4, ntyp = 3
/
ATOMIC_SPECIES
S 32.06 S.upf
La 138.91 La.upf
Cs 132.91 Cs.upf
ATOMIC_POSITIONS angstrom
S 18.512 0.000 2.878
S 5.501 0.000 0.855
La 12.007 0.000 1.867
Cs 0.000 0.000 0.000
CELL_PARAMETERS angstrom
8.197 -2.166 0.009
8.197 2.166 0.009
7.620 0.000 3.716

No. 3
! CsLuS2, relaxed, DFT r2SCAN; values from VASP
! Excess energy over the best structure of this formula in the dataset in meV per atom: 2.9
! DFT total energy in eV per atom: -21.910
! Spin magnetization in μB per atom: 0.00
! ΔH_f (0 K) in eV per atom: -2.096
&SYSTEM
  ibrav = 0, nat = 4, ntyp = 3
/
ATOMIC_SPECIES
Lu 174.97 Lu.upf
S 32.06 S.upf
Cs 132.91 Cs.upf
ATOMIC_POSITIONS angstrom
Lu 8.724 8.324 0.478
S 3.942 3.761 0.216
S 13.506 12.887 0.740
Cs 0.000 0.000 0.000
CELL_PARAMETERS angstrom
4.227 7.203 0.520
6.674 4.542 2.202
6.547 4.903 -1.767

No. 4
! CsLuS2, relaxed, DFT r2SCAN; values from VASP
! Excess energy over the best structure of this formula in the dataset in meV per atom: 0.0
! DFT total energy in eV per atom: -21.913
! Spin magnetization in μB per atom: 0.00
! ΔH_f (0 K) in eV per atom: -2.098
&SYSTEM
  ibrav = 0, nat = 8, ntyp = 3
/
ATOMIC_SPECIES
Lu 174.97 Lu.upf
S 32.06 S.upf
Cs 132.91 Cs.upf
ATOMIC_POSITIONS angstrom
Lu 0.000 0.000 0.000
Lu -3.424 4.574 -5.640
S -2.611 7.118 -6.107
S -4.815 10.062 -9.736
S -3.420 5.290 -3.025
S -1.216 2.347 0.605
Cs -5.742 8.393 -6.850
Cs -0.289 4.016 -2.282
CELL_PARAMETERS angstrom
-2.635 1.334 2.682
3.452 1.927 -0.533
-6.848 9.148 -11.280

No. 5
! Cs4Mn3O6, relaxed, DFT r2SCAN; values from VASP
! DFT total energy in eV per atom: -15.694
! Spin magnetization in μB per atom: 1.00
! ΔH_f (0 K) in eV per atom: -1.823
&SYSTEM
  ibrav = 0, nat = 52, ntyp = 3
/
ATOMIC_SPECIES
O 16.00 O.upf
Mn 54.94 Mn.upf
Cs 132.91 Cs.upf
ATOMIC_POSITIONS angstrom
O 1.454 8.269 4.264
O 1.454 9.529 6.679
O 3.954 5.544 9.619
O 2.722 13.017 10.592
O 0.068 14.027 4.503
O 5.708 6.405 1.322
O 2.722 4.781 0.351
O 7.141 8.453 6.675
O 4.450 10.116 4.858
O 2.759 2.907 4.202
O 5.443 13.962 6.322
O 5.443 3.836 4.621
O 2.759 14.891 6.741
O 3.954 12.254 1.324
O 5.708 11.393 9.622
O 6.942 6.956 10.914
O 4.450 7.682 6.086
## The page goes on

This is the main scanner room. For this shot we turned off all the lights except for the overhead fluorescents which have a nice "looking at sky and trees" fake stained glass image over them. We used the same 500w fresnell in the same config as in the doctor's office, you can see the golden light coming in from the left. We also place a 2' kino with full CTO on the floor behind the scanner to light up the cabinets behind. Finally we added a 200w fresnel with red gel shooting into the scanner tube from behind and below, to add a little high tech feel.

The last shot was a medium shot of the talent. For this one we used an ND grad at the 8-o'clock position to darken the white picket fence in the foreground, as well as a linear polo to darken the sky. We also used a shiny board for fill to help combat the harsh noon sun and overhead branches.